“And I beheld another beast coming up out of the earth; and he had two horns like a lamb, and he spake as a dragon.” Revelation 13:11.
“Already preparations are advancing, and movements are in progress, which will result in making an image to the beast” (Review and Herald, April 23, 1889).
There is a movement being led by Evangelical Christians that is seeking to bring about a religious awakening in America. This movement is driven by the belief that government policies must be infused with Christian principles, which they view as essential for restoring a moral order in society. Evangelicals are using the Trump assassination attempt to further this agenda. They use these crises as opportunities to push for policies that align with their religious and ideological beliefs.
On July 16, 2024, La Croix International published an article declaring that Evangelical Christians attribute Donald Trump’s survival from the assassination attempt to a miracle performed by Christ.
• “Since surviving an assassination attempt on July 13 during a rally in Pennsylvania, Donald Trump is being hailed as a ‘miracle’ by American evangelicals, who see it as a sign from Christ.” [1]
• “On the Truth Social network, Trump himself fueled this politico-religious vision a few hours after the shooting: ‘It was God alone who prevented the unthinkable from happening.’ Later, he even mentioned that his doctor considered it a miracle.” [1]
• “Now that he has survived, the belief that he is the chosen one will spread more widely in evangelical circles. For them, it is truly a sign that God is protecting him.” [1]
• “The assassination attempt on Trump is perceived by the most conservative members of the electorate as an attack by ‘evil’ against Christianity. Addressing his congregation in Oklahoma, Republican Pastor Jackson Lahmeyer, founder of ‘Pastors for Trump,’ spoke of a ‘spiritual war.’ He declared, ‘Yesterday, we experienced a tragedy, but also a miracle.’ Calls for calm were issued by other pastors, mirroring Trump’s own reactions.” [1]
What Evangelical Christians are expressing is much more than just calling on people to pray for Donald Trump. They are saying that Donald Trump has been chosen by Jesus to save America and that without divine intervention and approval, he wouldn’t be alive. Basically, they are telling us that God is on Trump’s side. This kind of speech not only unites the Evangelical vote, but it also wields a greater influence on people at large.
Framing the July 13 assassination attempt as a divine intervention from God will lead certain political Christians to want to impose stricter moral legislation and the rollback of secular policies because Evangelicals will also interpret July 13 as a warning or punishment for a nation that is straying from its Christian roots. However, the pursuit to enforce religious standards on society, particularly the observance of Sunday as a day of worship or rest, poses a significant threat to civil and religious liberty as it undermines the constitutional principle of separation of church and state.
By imposing Evangelical Christianity on a pluralistic society, this will marginalize minority faiths and non-believers, eroding the freedoms of belief and expression that are foundational to American democracy. Their agenda, if unchecked, will lead to a revival of persecution and tyranny and turn Protestant America into an image of the Papacy:
“Those religious bodies who refuse to hear God’s messages of warning will be under strong deception and will unite with the civil power to persecute the saints. The Protestant churches will unite with the papal power in persecuting the commandment-keeping people of God…. The church appeals to the strong arm of civil power, and in this work papists and Protestants unite.” (Last Day Events, p. 145).
Absolutely! Trump is so controlled by the Christian Nationalists that from day 1 his administration will be a de-facto union of Church and State already. SDAs are mostly unaware. Sound the alarm!
Whoever takes office will not save us; we are doomed.
This is Christian Nationalism plain and simple. The problem is that they want our laws to reflect their morals, which includes Sunday rest.
The real message is Make America Christian Again.
When the Mark of the Beast comes….it will come.
Whether by the Christian Right via the G.O.P….. or the Laudato Si’ Climate CULT via the Democrats.
**Between two parts of the text: data records:**
'''
The following is a GGA+U calculation of a relaxed structure of CsMoO2, from Alexandria.

extended XYZ file:
```
8
Lattice="5.549 0.000 0.000 0.000 5.549 0.000 2.774 2.774 5.807" Properties=species:S:1:pos:R:3 pbc="T T T"
Cs 0.000 0.000 0.000
Cs 5.549 2.774 2.903
Mo 2.774 2.774 0.000
Mo 2.774 5.549 2.903
O 3.228 1.387 1.452
O 2.321 4.162 1.452
O 4.162 5.095 4.355
O 6.936 6.003 4.355
```

Results
DFT total energy (eV per atom): -5.6573
ΔE to the lowest computed polymorph (meV per atom): 36.3
Density of states at the Fermi level (states/eV per atom): 0.01
Crystal system: tetragonal
'''
**So much for the data records:**
And since the S.O.P. tells us it will be when calamities befall our land one can see one side cailling for it to appease an angry Father God and the other side claiming we need to appease an angry mother earth to reduce our so-called “carbon footprint”, or as Laudato Si’ says to celebrate the day of the Eucharist like a “Jewish Sabbath”.
Hence—COMMON GROUND for the “COMMON GOOD” will be achieved.
Trump could not enforce a counterfeit Sabbath without support of the Left and Democrats could not enforce a Laudato Si’ style climate lockdown on Sunday without support from the Right.
What comes next are records of crystals, not part of the text
Computed, not measured: MnSn3Os after structural relaxation at the PBE level of DFT.

Calculated values
- crystal system = cubic
- polymorph energy (0 for the lowest one) (meV per atom) = 0
- calculated formation energy (eV per atom) = 0.69
- magnetic moment (μB per atom) = 0.77

Lattice parameters (Å, degrees): 5.2131 5.2131 5.2131 90.00 90.00 90.00
With the nearest neighbours (Å) after each atom.
Atoms (fractional coordinates):
Mn (0.5000, 0.5000, 0.5000)  12 Sn 3.69
Here the text continues
Both sides would have to unite when the time comes……and THEY WILL.
And for that to happen they need a great crisis in the United States… Could it be a civil war?
What comes next are data records, not part of the text.
No. 1
! Eu2WN (GGA-PBE, relaxed); values from VASP
&SYSTEM
  ibrav = 0, nat = 4, ntyp = 3
/
ATOMIC_SPECIES
N 14.01 N.upf
W 183.84 W.upf
Eu 151.96 Eu.upf
ATOMIC_POSITIONS angstrom
N 3.2257 1.8624 4.5686
W 0.0000 0.0000 0.0000
Eu 4.8386 2.7936 3.0794
Eu 1.6129 0.9312 6.0578
CELL_PARAMETERS angstrom
3.2257 0.0000 0.0000
1.6129 2.7936 0.0000
1.6129 0.9312 9.1371
! * raw total energy: -10.0322 eV/atom


No. 2
! CeTh4N4 (GGA-PBE, relaxed); values from VASP
&SYSTEM
  ibrav = 0, nat = 9, ntyp = 3
/
ATOMIC_SPECIES
Th 232.04 Th.upf
Ce 140.12 Ce.upf
N 14.01 N.upf
ATOMIC_POSITIONS angstrom
Th 5.8785 4.5325 6.1088
Th 3.0565 2.2669 6.2239
Th 4.3297 3.3710 3.0482
Th 1.5077 1.1054 3.1632
Ce 0.0000 0.0000 0.0000
N 5.4584 2.2195 7.1566
N 3.4679 4.4998 5.1978
N 1.9278 3.4183 2.1154
N 3.9183 1.1381 4.0743
CELL_PARAMETERS angstrom
4.7829 0.0000 1.9175
2.3478 5.7429 1.0678
0.2554 -0.1050 6.2867
! * raw total energy: -8.9899 eV/atom


No. 3
! Si2PCl (GGA-PBE, relaxed); values from VASP
&SYSTEM
  ibrav = 0, nat = 4, ntyp = 3
/
ATOMIC_SPECIES
P 30.97 P.upf
Si 28.09 Si.upf
Cl 35.45 Cl.upf
ATOMIC_POSITIONS angstrom
P -7.6030 -1.3080 0.6237
Si -0.1239 -0.0016 0.0302
Si -2.1425 -1.2387 -0.7069
Cl -3.6003 -0.0457 0.8773
CELL_PARAMETERS angstrom
-0.7712 0.7739 -3.1242
0.2348 -3.2038 0.7968
-8.6222 -0.1094 2.1011
! * raw total energy: -4.2818 eV/atom
! * distance to the lowest polymorph of the same formula: 223 meV per atom


No. 4
! Tc2SbTe (GGA-PBE, relaxed); values from VASP
&SYSTEM
  ibrav = 0, nat = 4, ntyp = 3
/
ATOMIC_SPECIES
Tc 98.00 Tc.upf
Te 127.60 Te.upf
Sb 121.76 Sb.upf
ATOMIC_POSITIONS angstrom
Tc 1.6423 1.6423 1.6423
Tc 4.9268 4.9268 4.9268
Te 3.2845 3.2845 3.2845
Sb 0.0000 0.0000 0.0000
CELL_PARAMETERS angstrom
0.0000 3.2845 3.2845
3.2845 0.0000 3.2845
3.2845 3.2845 0.0000
! * raw total energy: -6.7558 eV/atom
! * distance to the lowest polymorph of the same formula: 133 meV per atom


Energy relative to the elements, uncorrected, record by record: 0.4247, -1.3327, 0.2438, 0.2432 eV per atom

=====

Computed, not measured: Ce2Pu2S7 after structural relaxation at the PBE-GGA level of DFT.

energy above the most stable polymorph in this dataset	22	meV/atom
N(E_F)	25.0	states/eV/cell
total energy	-87.38	eV per formula unit
formation energy (no corrections)	-1632	meV per atom

a = 4.644 Å, b = 4.644 Å, c = 12.922 Å
α = 90.00°, β = 90.00°, γ = 90.00°
Space group P-4m2 (No. 115)
Symmetry-distinct sites (fractional):
Ce 0.000 0.500 0.126 (multiplicity 2)
Pu 0.000 0.500 0.636 (multiplicity 2)
S 0.000 0.000 0.000 (multiplicity 1)
S 0.000 0.000 0.266 (multiplicity 2)
S 0.500 0.500 0.000 (multiplicity 1)
S 0.500 0.500 0.248 (multiplicity 2)
S 0.500 0.500 0.500 (multiplicity 1)
When Tramp was reaching his first presidency, he had his speech and in it he said that he would not tolerate any protest. did you know that this means totalitarianism? Many ADS enthused about him as a savior on a white horse, and he is just another actor on the international stage who plays according to the script written by the devilish shadow cabinet. It’s time to wake up!
Would not recommend anyone who enjoys Adventmessenger to go to Fulcrum7,
Was given a lifetime ban via the subject of this article, on their site a topic was made about “Dr Ben Carson saying God had spared Trump from the Bullet”
Made a post that was extremely tame and in no ways worthy of a lifetime ban,
Side note whenever my posts got deleted they featured links to Advent messenger articles:
{“You, Mrs. Jane, are a dangerous fanatic and a lunatic, and you are not welcome to comment here any more.”}
Total spirit of Popery, far removed from a “come let us reason together”
Interestingly if I was an openly homosexual, pro Desmond Ford or Pro One Project type Id have not gotten a lifetime ban,
Guess those involved probably declare they are pro constitution.
No Dear Marie, not “doomed”. But on the boarders of THE promised land.
Yes, we’ll see difficult times but He’s with us and will not forsake anyone that chooses to follow Him wherever He leads.
So many millions and billions over the last Centuries since the words “Let there be light” were spoken that longed for this time And we have the privilege of being one of the few that will witness the fulfillment of one of the most dynamic prophecy ever uttered.
And for that to happen they need a great crisis in the United States… Could it be a civil war?